[File]
┌──
1.
The following is a calculated powder X-ray diffraction pattern of Ce3Pr2Sn4. It was derived from the PBE geometry in Alexandria, using Cu Kα (λ = 1.5418 Å).
Peak positions follow from Bragg's law for the DFT cell and can differ from measured ones.

Structural model:
abc: 8.535 8.495 8.286
angles: 90.00 111.79 90.00
Space group P2_1/c (No. 14)
Inequivalent atoms, fractional coordinates:
Ce (0.000, 0.000, 0.000) [2 per cell]
Ce (0.257, 0.167, 0.775) [4 per cell]
Pr (0.302, 0.681, 0.937) [4 per cell]
Sn (0.009, 0.632, 0.129) [4 per cell]
Sn (0.417, 0.036, 0.172) [4 per cell]

Most intense lines, 15° ≤ 2θ ≤ 90°, low angle first:
2θ = 27.70°, rel. 39; 2θ = 28.28°, rel. 39; 2θ = 29.86°, rel. 100; 2θ = 30.25°, rel. 61; 2θ = 30.85°, rel. 79; 2θ = 31.20°, rel. 93; 2θ = 33.26°, rel. 56; 2θ = 33.73°, rel. 52; 2θ = 33.94°, rel. 33; 2θ = 34.18°, rel. 97

=====

2.
The following is a calculated powder X-ray diffraction pattern of U4TeSe7. It was derived from the PBE geometry in Alexandria, using Cu Kα (λ = 1.5418 Å).
Peak positions follow from Bragg's law for the DFT cell and can differ from measured ones.

Structural model:
abc: 7.668 4.078 9.258
angles: 90.00 91.24 90.00
Space group Pm (No. 6)
Inequivalent atoms, fractional coordinates:
U (0.000, 0.000, 0.000) [1 per cell]
U (0.022, 0.500, 0.484) [1 per cell]
U (0.502, 0.000, 0.210) [1 per cell]
U (0.558, 0.500, 0.701) [1 per cell]
Te (0.238, 0.000, 0.695) [1 per cell]
Se (0.122, 0.000, 0.291) [1 per cell]
Se (0.287, 0.500, 0.029) [1 per cell]
Se (0.409, 0.500, 0.416) [1 per cell]
Se (0.621, 0.000, 0.916) [1 per cell]
Se (0.741, 0.000, 0.516) [1 per cell]
Se (0.791, 0.500, 0.188) [1 per cell]
Se (0.921, 0.500, 0.788) [1 per cell]

Most intense lines, 15° ≤ 2θ ≤ 90°, low angle first:
2θ = 22.22°, rel. 48; 2θ = 22.66°, rel. 47; 2θ = 23.21°, rel. 40; 2θ = 23.84°, rel. 55; 2θ = 31.32°, rel. 41; 2θ = 33.36°, rel. 100; 2θ = 33.67°, rel. 79; 2θ = 38.22°, rel. 58; 2θ = 38.62°, rel. 54; 2θ = 44.43°, rel. 51

=====

3.
The following is a calculated powder X-ray diffraction pattern of AcPrZnBi. It was derived from the PBE geometry in Alexandria, using Cu Kα (λ = 1.5418 Å).
Peak positions follow from Bragg's law for the DFT cell and can differ from measured ones.

Structural model:
abc: 7.948 7.948 7.948
angles: 90.00 90.00 90.00
Space group F-43m (No. 216)
Inequivalent atoms, fractional coordinates:
Ac (0.000, 0.000, 0.000) [4 per cell]
Pr (0.000, 0.000, 0.500) [4 per cell]
Zn (0.250, 0.250, 0.750) [4 per cell]
Bi (0.250, 0.250, 0.250) [4 per cell]

Most intense lines, 15° ≤ 2θ ≤ 90°, low angle first:
2θ = 19.34°, rel. 13; 2θ = 31.85°, rel. 100; 2θ = 37.53°, rel. 8; 2θ = 45.66°, rel. 19; 2θ = 50.02°, rel. 4; 2θ = 56.74°, rel. 40; 2θ = 66.56°, rel. 12; 2θ = 70.04°, rel. 3; 2θ = 75.68°, rel. 17; 2θ = 84.45°, rel. 4

=====

4.
The following is a calculated powder X-ray diffraction pattern of TbZn5Rh2. It was derived from the PBE geometry in Alexandria, using Cu Kα (λ = 1.5418 Å).
Peak positions follow from Bragg's law for the DFT cell and can differ from measured ones.

Structural model:
abc: 3.818 7.686 9.424
angles: 90.00 90.00 90.00
Space group Immm (No. 71)
Inequivalent atoms, fractional coordinates:
Tb (0.000, 0.000, 0.000) [2 per cell]
Zn (0.000, 0.186, 0.349) [8 per cell]
Zn (0.000, 0.500, 0.000) [2 per cell]
Rh (0.000, 0.500, 0.266) [4 per cell]

Most intense lines, 15° ≤ 2θ ≤ 90°, low angle first:
2θ = 23.14°, rel. 31; 2θ = 32.35°, rel. 59; 2θ = 34.45°, rel. 79; 2θ = 36.34°, rel. 23; 2θ = 37.06°, rel. 100; 2θ = 42.49°, rel. 32; 2θ = 45.14°, rel. 59; 2θ = 46.85°, rel. 57; 2θ = 47.64°, rel. 40; 2θ = 67.72°, rel. 34

=====

5.
The following is a calculated powder X-ray diffraction pattern of Li4Mg10Cd. It was derived from the PBE geometry in Alexandria, using Cu Kα (λ = 1.5418 Å).
Peak positions follow from Bragg's law for the DFT cell and can differ from measured ones.

Structural model:
abc: 10.542 10.542 6.761
angles: 90.00 90.00 90.00
Space group I4/m (No. 87)
└──

[Brief]
Search the calculation results earlier on for the word "Rh" and restate each line that has it.

[Completed]
Rh (0.000, 0.500, 0.266) [4 per cell]